┌──
Computed powder X-ray diffraction pattern of SrEu3Ni2O8 for λ = 1.5418 Å (Cu Kα), from a crystal structure in Alexandria, relaxed with PBE+U.
Neutral-atom scattering factors, no anomalous dispersion.

Atomic structure:
Lattice parameters (Å, degrees): 5.3844 5.3983 12.3006 90.00 90.00 90.00
Space group Amm2 (No. 38)
Inequivalent atoms, fractional coordinates:
Sr (0.0000, 0.0000, 0.0000)
Eu (0.0000, 0.0000, 0.7182)
Eu (0.5000, 0.0000, 0.2174)
Eu (0.5000, 0.0000, 0.4970)
Ni (0.0000, 0.0000, 0.3590)
Ni (0.5000, 0.0000, 0.8598)
O (0.0000, 0.0000, 0.1964)
O (0.0000, 0.0000, 0.5287)
O (0.2535, 0.2458, 0.3546)
O (0.5000, 0.0000, 0.0294)
O (0.5000, 0.0000, 0.6851)

Principal peaks in the range 2θ from 10° to 90°, by angle:
index, Position (°2θ), I_rel
1 1 1, 24.45, 23.4
1 1 3, 32.06, 100.0
2 0 0, 33.24, 70.7
1 1 5, 43.80, 16.0
2 0 4, 44.71, 29.4
2 2 0, 47.71, 35.0
1 3 3, 58.59, 18.3
3 1 3, 58.70, 18.2

----------

For In2P2O7, DFT lattice parameters and positions (GGA-PBE) gives the theoretical PXRD pattern in this record (Cu Kα).

Main lines, in order of rising 2θ (2θ = 5–70°):
2θ/deg	Rel. int.	index
21.51	41	0 0 2
23.10	34	0 1 2
24.23	24	2 0 0
24.86	32	1 2 1
27.37	55	0 3 1
27.98	59	1 3 0
28.87	100	1 1 2
29.02	100	2 2 -1
32.45	29	1 1 -3
40.57	26	1 3 -3

Crystal structure
```
data_In2P2O7
_space_group_name_H-M_alt 'P 1 21/c 1'
_space_group_IT_number 14
_space_group_name_Hall '-P 2ybc'
└──

Give back every line further above that contains the word "positions", please.

For In2P2O7, DFT lattice parameters and positions (GGA-PBE) gives the theoretical PXRD pattern in this record (Cu Kα).